Contents =
-- begin --
[1]
Below is a relaxed Li4MnFe3B4O12 crystal, with properties calculated at the PBE+U level.

## Properties
* magnetization: 17.00 Bohr magnetons per cell
* volume: 10.271 Å³ per atom
* density: 3.27 g cm⁻³
* relative energy among the computed polymorphs: 1 meV per atom
* SG: No. 1
* energy of formation: -2.37 eV/atom

Unit cell a=5.228 b=5.230 c=10.406 alpha=90.77 beta=91.23 gamma=119.90
Atoms (fractional coordinates):
Li 0.000 0.000 0.000
Li 0.032 0.992 0.497
Li 0.319 0.316 0.249
Li 0.352 0.314 0.747
Mn 0.679 0.331 0.032
Fe 0.012 0.659 0.783
Fe 0.362 0.677 0.535
Fe 0.665 0.977 0.285
B 0.000 0.648 0.291
B 0.340 0.657 0.039
B 0.682 0.991 0.788
B 0.687 0.329 0.539
O 0.016 0.921 0.305
O 0.103 0.690 0.997
O 0.251 0.627 0.321
O 0.309 0.381 0.053
O 0.414 0.306 0.551
O 0.433 0.726 0.749
O 0.613 0.909 0.071
O 0.660 0.242 0.816
O 0.710 0.082 0.501
O 0.739 0.399 0.250
O 0.944 0.597 0.570
O 0.957 0.011 0.801



[2]
Below is a relaxed Li8Mn7FeB8O24 crystal, with properties calculated at the PBE+U level.

## Properties
* magnetization: 39.00 Bohr magnetons per cell
* volume: 10.710 Å³ per atom
* density: 3.12 g cm⁻³
* SG: No. 1
* energy of formation: -2.48 eV/atom

Unit cell a=6.066 b=8.301 c=10.501 alpha=90.86 beta=90.66 gamma=103.47
Atoms (fractional coordinates):
Li 0.000 0.000 0.000
Li 0.000 0.000 0.499
Li 0.092 0.437 0.348
Li 0.093 0.437 0.849
Li 0.499 0.501 0.250
Li 0.501 0.500 0.750
Li 0.593 0.936 0.100
Li 0.593 0.937 0.599
Mn 0.232 0.138 0.758
Mn 0.234 0.135 0.258
Mn 0.361 0.799 0.841
Mn 0.732 0.638 0.009
Mn 0.733 0.638 0.507
Mn 0.860 0.298 0.091
Mn 0.860 0.298 0.591
Fe 0.361 0.797 0.344
B 0.211 0.623 0.589
B 0.213 0.624 0.091
B 0.379 0.315 0.509
B 0.380 0.315 0.010
B 0.712 0.120 0.340
B 0.713 0.122 0.840
B 0.879 0.814 0.759
B 0.881 0.814 0.260
O 0.031 0.529 0.515
O 0.033 0.530 0.017
O 0.060 0.906 0.834
O 0.062 0.905 0.334
O 0.206 0.202 0.068
O 0.206 0.202 0.568
O 0.223 0.597 0.718
O 0.223 0.602 0.221
O 0.371 0.341 0.379
O 0.371 0.342 0.880
O 0.382 0.739 0.529
O 0.388 0.735 0.031
O 0.531 0.026 0.266
O 0.532 0.030 0.765
O 0.560 0.407 0.084
O 0.560 0.407 0.584
O 0.705 0.701 0.318
O 0.706 0.701 0.818
O 0.720 0.095 0.969
O 0.721 0.095 0.470
O 0.870 0.841 0.630
O 0.873 0.841 0.130
O 0.884 0.234 0.281
O 0.887 0.235 0.782



[3]
Below is a relaxed Li2MnFeB2O6 crystal, with properties calculated at the PBE+U level.

## Properties
* magnetization: 8.00 Bohr magnetons per cell
* volume: 10.546 Å³ per atom
* density: 3.18 g cm⁻³
* relative energy among the computed polymorphs: 2 meV per atom
* SG: No. 2
* energy of formation: -2.42 eV/atom

Unit cell a=5.171 b=5.241 c=11.051 alpha=76.86 beta=78.86 gamma=60.68
Atoms (fractional coordinates):
Li 0.099 0.466 0.167
Li 0.392 0.040 0.340
Li 0.608 0.960 0.660
Li 0.901 0.534 0.833
Mn 0.224 0.863 0.883
Mn 0.776 0.137 0.117
Fe 0.281 0.636 0.617
Fe 0.719 0.364 0.383
B 0.056 0.710 0.373
B 0.440 0.794 0.134
B 0.560 0.206 0.866
B 0.944 0.290 0.627
O 0.083 0.447 0.354
O 0.203 0.025 0.654
O 0.210 0.781 0.089
O 0.293 0.717 0.413
O 0.302 0.467 0.837
O 0.403 0.063 0.152
O 0.597 0.937 0.848
O 0.698 0.533 0.163
O 0.707 0.283 0.587
O 0.790 0.219 0.911
O 0.797 0.975 0.346
O 0.917 0.553 0.646



[4]
Below is a relaxed Li2MnFeB2O6 crystal, with properties calculated at the PBE+U level.

## Properties
* magnetization: 0.00 Bohr magnetons per cell
* volume: 10.485 Å³ per atom
* density: 3.20 g cm⁻³
* relative energy among the computed polymorphs: 3 meV per atom
* SG: No. 2
* energy of formation: -2.42 eV/atom

Unit cell a=5.192 b=5.256 c=10.947 alpha=92.03 beta=101.36 gamma=119.58
Atoms (fractional coordinates):
Li 0.069 0.213 0.089
Li 0.070 0.713 0.589
Li 0.930 0.287 0.411
Li 0.931 0.787 0.911
Mn 0.409 0.878 0.132
Mn 0.591 0.122 0.868
Fe 0.416 0.389 0.630
Fe 0.584 0.611 0.370
B 0.264 0.958 0.381
B 0.266 0.459 0.879
B 0.734 0.541 0.121
B 0.736 0.042 0.619
O 0.026 0.694 0.399
O 0.037 0.191 0.898
O 0.268 0.720 0.909
O 0.269 0.223 0.407
O 0.493 0.036 0.659
O 0.493 0.528 0.166
O 0.507 0.472 0.834
O 0.507 0.964 0.341
-- stop --

Brief =
Please give back every line further up that contains the word "computed".

Worked solution =
* relative energy among the computed polymorphs: 1 meV per atom
* relative energy among the computed polymorphs: 2 meV per atom
* relative energy among the computed polymorphs: 3 meV per atom